## Contents
~~~
Computed powder X-ray diffraction pattern
Compound: BeGe
Radiation: Cu Kα X-rays
Structure: a cell relaxed with PBE
Neutral-atom scattering factors, no anomalous dispersion.

Cell lengths 4.113, 4.110, 2.880 Å; angles 69.55, 69.44, 41.00 degrees
Element x y z (fractional)
Be  0.000  0.000  0.000
Ge  0.685  0.685  0.315

Most intense lines, 15° ≤ 2θ ≤ 90°, in order of rising 2θ:
2theta, intensity
24.93, 51
33.55, 100
44.42, 14
44.56, 14
49.68, 40
51.61, 14
51.73, 14
70.51, 11
74.82, 9
75.02, 9

=====

Computed powder X-ray diffraction pattern
Compound: YSc2Ag3Se6
Radiation: Cu Kα X-rays
Structure: a cell relaxed with PBE
Neutral-atom scattering factors, no anomalous dispersion.

Cell lengths 6.982, 6.982, 6.948 Å; angles 99.55, 99.55, 120.06 degrees
Element x y z (fractional)
Y  0.000  0.000  0.000
Sc  0.332  0.668  0.000
Sc  0.668  0.332  0.000
Ag  0.160  0.840  0.500
Ag  0.500  0.500  0.500
Ag  0.840  0.160  0.500
Se  0.078  0.425  0.235
Se  0.270  0.270  0.765
Se  0.425  0.078  0.235
Se  0.575  0.922  0.765
Se  0.730  0.730  0.235
Se  0.922  0.575  0.765

Most intense lines, 15° ≤ 2θ ≤ 90°, in order of rising 2θ:
2theta, intensity
25.93, 5
31.44, 100
44.99, 35
45.12, 35
55.91, 18
56.13, 6
65.55, 7
74.42, 10
74.59, 14
83.01, 9

=====

What is the formula in the first record? BeGe

=====

What is the formula in the first record? BeGe
~~~

## Job
Your job: find "45.12, 35" and "83.01," in the entries further above, and retype these two lines and those between.

## Solution
45.12, 35
55.91, 18
56.13, 6
65.55, 7
74.42, 10
74.59, 14
83.01, 9